Entries >
1.
12
Lattice="2.029 -7.708 0.000 2.029 7.708 0.000 0.000 0.000 6.614" Properties=species:S:1:pos:R:3 comment="DyAl4Ni (GGA-PBE, optimized geometry)" e_tot_ev_per_atom=-4.7810 pbc="T T T"
Dy 2.029 5.898 4.961
Dy 2.029 -5.898 1.654
Al 2.029 6.533 1.654
Al 2.029 2.906 3.656
Al 2.029 2.906 6.266
Al 2.029 0.000 0.000
Al 2.029 0.000 3.307
Al 2.029 -2.906 0.349
Al 2.029 -2.906 2.958
Al 2.029 -6.533 4.961
Ni 2.029 4.217 1.654
Ni 2.029 -4.217 4.961

2.
9
Lattice="6.931 0.000 0.000 -3.466 6.003 0.000 0.000 0.000 3.915" Properties=species:S:1:pos:R:3 comment="DyAlNi (GGA-PBE, optimized geometry)" e_tot_ev_per_atom=-5.3178 pbc="T T T"
Dy -2.020 3.499 0.000
Dy 1.446 2.504 0.000
Dy 4.040 0.000 0.000
Al -0.813 1.409 1.958
Al 1.626 0.000 1.958
Al 2.652 4.594 1.958
Ni 0.000 0.000 0.000
Ni 0.000 4.002 1.958
Ni 3.466 2.001 1.958

3.
22
Lattice="-4.452 4.452 4.452 4.452 -4.452 4.452 4.452 4.452 -4.452" Properties=species:S:1:pos:R:3 comment="Dy3Al2Ni6 (GGA-PBE, optimized geometry)" e_tot_ev_per_atom=-5.6563 pbc="T T T"
Dy 2.604 0.000 0.000
Dy 6.300 0.000 0.000
Dy 0.000 2.604 0.000
Dy 0.000 0.000 2.604
Dy 0.000 6.300 0.000
Dy 0.000 0.000 6.300
Al 2.226 2.226 -2.226
Al 2.226 -2.226 2.226
Al -2.226 2.226 2.226
Al 2.226 2.226 2.226
Ni 4.452 1.469 -1.469
Ni 4.452 -1.469 1.469
Ni 4.452 1.469 1.469
Ni 1.469 4.452 -1.469
Ni 2.982 2.982 0.000
Ni 1.469 -1.469 4.452
Ni 2.982 0.000 2.982
Ni -1.469 4.452 1.469
Ni 1.469 4.452 1.469
Ni -1.469 1.469 4.452
Ni 1.469 1.469 4.452
Ni 0.000 2.982 2.982
To do >
The reader should search the rows further up for the word "geometry" and set down each line that has it.
Outcome >
Lattice="2.029 -7.708 0.000 2.029 7.708 0.000 0.000 0.000 6.614" Properties=species:S:1:pos:R:3 comment="DyAl4Ni (GGA-PBE, optimized geometry)" e_tot_ev_per_atom=-4.7810 pbc="T T T"
Lattice="6.931 0.000 0.000 -3.466 6.003 0.000 0.000 0.000 3.915" Properties=species:S:1:pos:R:3 comment="DyAlNi (GGA-PBE, optimized geometry)" e_tot_ev_per_atom=-5.3178 pbc="T T T"
Lattice="-4.452 4.452 4.452 4.452 -4.452 4.452 4.452 4.452 -4.452" Properties=species:S:1:pos:R:3 comment="Dy3Al2Ni6 (GGA-PBE, optimized geometry)" e_tot_ev_per_atom=-5.6563 pbc="T T T"